## Given
********
1.
Density functional theory data (GGA-PBE) for crystalline NdAlGa4Cu2 at its relaxed geometry.

The volume is 144 Å³ per cell. The calculation puts the magnetization at 0.00 μB per formula unit. Its formation energy is -158 kJ/mol of formula units. Its space group is R-3m.

Cell lengths 9.178, 9.178, 9.178 Å; angles 27.31, 27.31, 27.31 degrees
Fractional coordinates of all 8 atoms:
Nd 0.000 0.000 0.000
Al 0.500 0.500 0.500
Ga 0.125 0.125 0.125
Ga 0.400 0.400 0.400
Ga 0.600 0.600 0.600
Ga 0.875 0.875 0.875
Cu 0.239 0.239 0.239
Cu 0.761 0.761 0.761


2.
Density functional theory data (GGA-PBE) for crystalline InTcS at its relaxed geometry.

The volume is 125 Å³ per cell. The calculation puts the magnetization at 0.00 μB per formula unit. The calculation puts the formation energy (no corrections) at -0.332 eV per atom. Its space group is P1.

Cell lengths 3.112, 6.451, 6.829 Å; angles 69.30, 80.95, 77.88 degrees
Fractional coordinates of all 6 atoms:
In 0.000 0.000 0.000
In 0.493 0.999 0.500
Tc 0.203 0.675 0.381
Tc 0.780 0.323 0.620
S 0.152 0.518 0.749
S 0.830 0.481 0.252


3.
Density functional theory data (GGA-PBE) for crystalline CuBRh3 at its relaxed geometry.

The volume is 126 Å³ per cell. The calculation puts the magnetization at 0.21 μB per formula unit. Its formation energy is -36 kJ/mol of formula units. Its space group is C2/m.

Cell lengths 4.900, 4.900, 7.401 Å; angles 110.84, 110.84, 50.69 degrees
Fractional coordinates of all 10 atoms:
Cu 0.106 0.106 0.429
Cu 0.894 0.894 0.571
B 0.392 0.392 0.063
B 0.608 0.608 0.937
Rh 0.129 0.129 0.930
Rh 0.360 0.360 0.767
Rh 0.367 0.367 0.337
Rh 0.633 0.633 0.663
Rh 0.640 0.640 0.233
Rh 0.871 0.871 0.070


What is the volume in the second record?
125 Å³ per cell

* * * * *

Li2FePF after structural relaxation, computed with PBE with a Hubbard U.

## Properties
* total energy: -3.963 eV per atom
* total magnetic moment: 4.0 μB per cell
* calculated volume: 100.27 Å³/cell

a b c (Å): 4.709 4.522 4.709
angles (deg): 90.00 90.00 90.00
Sites, in units of the cell vectors:
F  0.500  0.500  0.500
Li  0.500  0.000  0.000
Li  0.000  0.000  0.500
Fe  0.000  0.500  0.000
P  0.000  0.000  0.000
********

## Request
Find the line earlier on that holds "crystalline CuBRh3", then duplicate that line and all lines after it there.

## Result
Density functional theory data (GGA-PBE) for crystalline CuBRh3 at its relaxed geometry.

The volume is 126 Å³ per cell. The calculation puts the magnetization at 0.21 μB per formula unit. Its formation energy is -36 kJ/mol of formula units. Its space group is C2/m.

Cell lengths 4.900, 4.900, 7.401 Å; angles 110.84, 110.84, 50.69 degrees
Fractional coordinates of all 10 atoms:
Cu 0.106 0.106 0.429
Cu 0.894 0.894 0.571
B 0.392 0.392 0.063
B 0.608 0.608 0.937
Rh 0.129 0.129 0.930
Rh 0.360 0.360 0.767
Rh 0.367 0.367 0.337
Rh 0.633 0.633 0.663
Rh 0.640 0.640 0.233
Rh 0.871 0.871 0.070


What is the volume in the second record?
125 Å³ per cell

* * * * *

Li2FePF after structural relaxation, computed with PBE with a Hubbard U.

## Properties
* total energy: -3.963 eV per atom
* total magnetic moment: 4.0 μB per cell
* calculated volume: 100.27 Å³/cell

a b c (Å): 4.709 4.522 4.709
angles (deg): 90.00 90.00 90.00
Sites, in units of the cell vectors:
F  0.500  0.500  0.500
Li  0.500  0.000  0.000
Li  0.000  0.000  0.500
Fe  0.000  0.500  0.000
P  0.000  0.000  0.000